“Time is running”: the White House under pressure to reopen cold cases from the Civil Rights era

“We are actively investigating candidates for the appointment of this board,” a White House official told POLITICO on Monday after asking last week why the presidential corps, which has also been supported by an appropriation of Congress, has languished for so long.

Between two parts of the article: calculated crystals =
/*
Calculated powder X-ray diffraction pattern
Compound: Pr6Si4S17
Radiation: Cu Ka
Structure: a cell relaxed with PBE

Structural model:
abc: 9.0057 10.0438 14.3383
angles: 81.99 86.97 89.37
Space group P-1 (No. 2)
Symmetry-distinct sites (fractional):
Pr  0.0193  0.2684  0.4599
Pr  0.0836  0.5805  0.1654
Pr  0.1064  0.8852  0.8166
Pr  0.3310  0.9120  0.3422
Pr  0.3704  0.5663  0.6754
Pr  0.4480  0.2388  0.0010
Si  0.2306  0.9377  0.0988
Si  0.2498  0.0001  0.5840
Si  0.2509  0.5601  0.9227
Si  0.2742  0.5585  0.3945
S  0.0086  0.8721  0.1142
S  0.0148  0.9929  0.6229
S  0.0407  0.6479  0.9519
S  0.0686  0.6436  0.7221
S  0.1064  0.7015  0.3454
S  0.1844  0.4808  0.5328
S  0.2471  0.1138  0.1672
S  0.2581  0.3853  0.8508
S  0.2969  0.8077  0.5409
S  0.2998  0.4112  0.3031
S  0.3079  0.1338  0.4613
S  0.3216  0.9814  0.9565
S  0.3410  0.5013  0.0568
S  0.3556  0.0302  0.7070
S  0.3669  0.7820  0.1668
S  0.3834  0.7130  0.8388
S  0.4827  0.6540  0.3965

Peak list (6 most intense, 2θ from 5° to 70°, by intensity)
d (Å)	2θ/deg	I (rel.)	(hkl)
4.051	21.94	100	1 -2 1
4.366	20.34	73	0 2 2
4.276	20.77	72	1 0 3
2.714	33.00	55	0 2 -4
2.583	34.73	54	3 1 -2
2.407	37.36	52	-1 4 1


# 1
This entry pairs a crystal structure of Dy3Ag2Pt3 with its theoretical X-ray powder pattern. Radiation: Cu Ka. Structure: a DFT-relaxed cell (GGA-PBE, Alexandria).
Intensities are scaled so that the largest is 100.

Atomic structure:
```
data_Dy3Ag2Pt3
_chemical_formula_sum 'Dy6 Ag4 Pt6'
_cell_length_a 8.4950
_cell_length_b 8.4950
_cell_length_c 5.6725
_cell_angle_alpha 90.00
_cell_angle_beta 90.00
_cell_angle_gamma 120.00
_space_group_name_H-M_alt 'P 1'
_space_group_IT_number 1
loop_
_space_group_symop_operation_xyz
'x,y,z'
loop_
_atom_site_label
_atom_site_fract_x
_atom_site_fract_y
_atom_site_fract_z
Dy1 0.0000 0.2968 0.2500
Dy2 0.0000 0.7032 0.7500
Dy3 0.2968 0.0000 0.2500
Dy4 0.2968 0.2968 0.7500
Dy5 0.7032 0.0000 0.7500
Dy6 0.7032 0.7032 0.2500
Ag1 0.3333 0.6667 0.0000
Ag2 0.3333 0.6667 0.5000
Ag3 0.6667 0.3333 0.0000
Ag4 0.6667 0.3333 0.5000
Pt1 0.0000 0.3648 0.7500
Pt2 0.0000 0.6352 0.2500
Pt3 0.3648 0.0000 0.7500
Pt4 0.3648 0.3648 0.2500
Pt5 0.6352 0.0000 0.2500
Pt6 0.6352 0.6352 0.7500
```

Principal peaks in the range 2θ = 10–90°, by intensity:
two_theta  I/Imax
36.65  100
38.15  73
35.97  33
49.11  33
31.54  26
20.91  24
77.80  22
53.93  22
66.98  18
69.63  14



# 2
This entry pairs a crystal structure of RbDyAgSe3 with its theoretical X-ray powder pattern. Radiation: Cu Ka. Structure: a DFT-relaxed cell (GGA-PBE, Alexandria).
Intensities are scaled so that the largest is 100.

Atomic structure:
```
data_RbDyAgSe3
_chemical_formula_sum 'Rb2 Dy2 Ag2 Se6'
_cell_length_a 8.2455
_cell_length_b 8.2455
_cell_length_c 10.7755
_cell_angle_alpha 90.00
_cell_angle_beta 90.00
_cell_angle_gamma 150.84
_space_group_name_H-M_alt 'P 1'
_space_group_IT_number 1
loop_
_space_group_symop_operation_xyz
'x,y,z'
loop_
_atom_site_label
_atom_site_fract_x
_atom_site_fract_y
*/
End of the calculated crystals =

The official declined to say when appointments can be made or account for the unusual delay. Candidates for the board have been nominated, as recommended by law, by the American Bar Association and various historical associations since July 2019.

But despite the holdup and fleeting possibility of locating new facts after so many years, there is still hope that the effort may generate new clues and shed new light on a dark chapter in America’s racial history at a time when there is a national judgment on race and equality.

“They could find something that I didn’t find, or the FBI in 1960 didn’t find, or the Alabama State Police didn’t find,” said Cynthia Deitle, who previously headed the civil rights unit at the FBI.

And even if the perpetrators can no longer be brought to justice, the meeting is considered a crucial tool to provide victims’ families with more answers.

“The family is owed the truth about what we did or did not do,” said Deitle, who is now director of civil rights reform at the Matthew Shepard Foundation. “Especially in cases where he was a law enforcement officer responsible for the cover-up or the murder itself.”

The five-member board, designated as “an independent agency of impartial private citizens,” will be housed in the National Archives and Records Administration.

It was proposed by a bipartisan block of lawmakers, including Senators Doug Jones (D-Ala.), Ted Cruz (R-Texas), and Kamala Harris (D-Calif.).

Jones in particular has expressed frustration that “no board members have been appointed and no work has been done to fulfill the purposes of the law,” as he wrote in a letter to Trump last month.

“I am concerned that those funds will not be used if the board is not established soon,” added Jones, who successfully prosecuted two members of the Klans police for the Birmingham church bombing that killed four black girls in 1963, almost 40 years later.

Jones, in an interview on Monday, said he believes “time is of the essence.”

“The Senate passed with unanimous consent. The president made a very nice statement when he signed it. And I don’t understand not doing it now. This must be done. I just don’t understand it.”

“It is as important as ever,” he added. “We are talking about a justice system that has disappointed people in the past. And I think these communities need to see and understand all the details of what was happening in those days. Because if we are not careful, they will commit some of the same mistakes. And I think some of those mistakes are being made even now. I think if we can open these files, as Congress intended, I think it will help the overall healing process. “

Cruz’s office, in a statement to POLITICO on Monday, also promised the senator’s continued support for the effort.

“The Cold Civil Rights Record Collection Act is intended to shed light on unsolved crimes committed against Americans seeking their rightful place in the American dream during the civil rights movement,” the statement said. – so that there is revelation, justice and closure where they have been missing for a long time.

The board drew inspiration from the Assassination Records Review Board, established by Congress in 1992 to collect and declassify all records held by intelligence and law enforcement agencies that could offer new information about the President’s assassination. John F. Kennedy.

Under the law, the board can access records of cold civil rights cases that have been identified by government agencies and also direct them to “investigate the facts” and seek “additional information, records or testimonies from individuals.”

Some documents may be retained or deleted before they are revealed to the public, as to protect the identity of informants who may still be alive.

It also has the power to “summon private persons to compel the production of documents and other relevant records.”

Effort is, by any measure, a daunting task, experts say.

“We don’t know how many cases will be affected,” said Deitle. “There has never been a complete cataloging of every racially motivated murder. There is no master list.”

However, at the Justice Department, he said there are more than 100 cases that are deemed worthy of ongoing investigation.

“There is a good story behind the success of the journalists, journalists, and teachers who really move these cases forward,” Deitle explained.

The push for the legislation started from an unlikely source: high school students in New Jersey.

The effort was part of a civic project under the tutelage of Stuart Wexler, a government teacher. His students began lobbying for such a bill in 2015 and subsequently helped secure funding to finance the meeting.

Wexler is eager to see the board get to work, but he’s also concerned with who Trump might name.

“I have two opinions on this news that the board will be named,” he said. “Normally, I would love to think that the families of the victims can get answers about what happened to their loved ones, that the whole country will examine why the police did not solve these cases in the first place.”

“But,” he added, “when someone says to me, ‘We are investigating the nominees,’ I am very concerned that a bill designed to be nonpartisan, which was introduced in both houses by Democrats but was originally defended and for The subsequent appropriation of the key Republicans, which was approved with the support of 99 percent of lawmakers in both branches, will be politicized. “

Candidates presented for the board last year include recommended individuals. by the American Historical Association, the Organization of American Historians, the Society of American Archivists and the American Bar Association, as described in the legislation.

“The American Bar Association believes in achieving justice,” said group president Judy Perry Martinez. “The ABA is proud to participate in the Cold Civil Rights Review Board, which can provide a mechanism to bring justice and truth to people who have been delaying justice and truth too long.”

According to a list shared with POLITICO by an independent investigator, the candidates sent to the White House include a mix of historians, archivists, librarians, former prosecutors, and professors and deans of law schools.

Trump does not have to take the groups’ recommendations, but under the law he is supposed to consider their advice.

“I hope that the commission [Trump] designates those who have some experience with these issues, “said Deitle, the former FBI agent.

But time is also running out. “The clock is ticking,” he said. “Witnesses are dying. Family members are dying. The spouses of the deceased are dying. They will never be given the opportunity to know the truth because we wait too long.”

Most cases “will never be tried in court,” Jones added. “But there is an element of reconciliation that goes only with knowing the facts. And that is important not only for the victims and the communities and the family, but even for those family members whose grandparents or someone was involved in the incident by the mistake side of the story. “

Daniel Lippman contributed to this report.